┌──
No. 1
The following is a DFT calculation (meta-GGA SCAN) of a PBEsol-optimized structure of Cu2POs.

```
Cu2POs
1.0
2.881 0.000 0.000
0.000 3.707 0.000
-1.441 0.000 4.842
Cu Os P
2 1 1
Direct
0.947 0.000 0.893
0.320 0.500 0.641
0.681 0.000 0.363
0.555 0.500 0.110
```

Computed properties:
D(E_F): 0.58 states/eV/atom
Final energy: -27.961 eV per atom

---

No. 2
The following is a DFT calculation (meta-GGA SCAN) of a PBEsol-optimized structure of NaCa2Mg2As3O12.

```
NaCa2Mg2As3O12
1.0
-5.287 -0.850 -9.275
10.461 -1.537 -1.703
-3.623 -7.378 6.865
Na Ca Mg As O
4 8 8 12 48
Direct
0.250 0.250 0.000
0.500 0.000 0.500
0.750 0.750 0.000
0.000 0.500 0.500
0.875 0.004 0.629
0.996 0.625 0.871
0.875 0.504 0.129
0.496 0.625 0.371
0.375 0.246 0.371
0.754 0.125 0.129
0.375 0.746 0.871
0.254 0.125 0.629
0.625 0.375 0.250
0.125 0.375 0.250
0.125 0.875 0.250
0.625 0.875 0.750
0.625 0.375 0.750
0.125 0.375 0.750
0.625 0.875 0.250
0.125 0.875 0.750
0.750 0.250 0.500
0.375 0.998 0.123
0.748 0.625 0.623
0.248 0.625 0.123
0.875 0.252 0.877
0.000 0.000 0.000
0.250 0.750 0.500
0.002 0.125 0.377
0.375 0.498 0.623
0.502 0.125 0.877
0.875 0.752 0.377
0.500 0.500 0.000
0.930 0.671 0.661
0.720 0.070 0.461
0.729 0.790 0.373
0.930 0.391 0.650
0.229 0.857 0.940
0.210 0.583 0.940
0.019 0.260 0.839
0.833 0.393 0.873
0.710 0.771 0.627
0.731 0.070 0.740
0.509 0.470 0.150
0.329 0.990 0.260
0.030 0.991 0.850
0.430 0.769 0.260
0.107 0.667 0.127
0.609 0.259 0.539
0.240 0.481 0.161
0.421 0.180 0.161
0.917 0.290 0.060
0.740 0.579 0.760
0.820 0.970 0.961
0.141 0.180 0.150
0.643 0.271 0.060
0.009 0.859 0.039
0.241 0.891 0.461
0.607 0.479 0.440
0.109 0.570 0.350
0.430 0.780 0.539
0.510 0.171 0.740
0.333 0.460 0.440
0.829 0.570 0.339
0.010 0.269 0.339
0.641 0.491 0.961
0.143 0.083 0.373
0.820 0.981 0.240
0.220 0.759 0.650
0.921 0.760 0.240
0.741 0.280 0.350
0.519 0.680 0.760
0.540 0.979 0.873
0.417 0.357 0.627
0.231 0.490 0.661
0.040 0.167 0.560
0.021 0.893 0.560
0.320 0.359 0.850
0.530 0.680 0.039
0.521 0.960 0.127
0.320 0.079 0.839
```

Computed properties:
D(E_F): 0.00 states/eV/atom
Energy relative to the elements, uncorrected: -2.364 eV per atom

---

No. 3
The following is a DFT calculation (meta-GGA SCAN) of a PBEsol-optimized structure of PtAuF3.

```
PtAuF3
1.0
4.187 0.000 0.000
0.000 4.187 0.000
0.000 0.000 4.187
Au Pt F
1 1 3
Direct
0.500 0.500 0.500
0.000 0.000 0.000
0.000 0.500 0.000
0.000 0.000 0.500
0.500 0.000 0.000
```

Computed properties:
D(E_F): 0.27 states/eV/atom
Energy relative to the elements, uncorrected: -0.446 eV per atom

---

No. 4
The following is a DFT calculation (meta-GGA SCAN) of a PBEsol-optimized structure of TiNiPd3.

```
TiNiPd3
1.0
4.490 0.000 0.000
0.000 4.490 0.000
0.000 0.000 4.490
Ni Pd Ti
1 3 1
Direct
0.500 0.500 0.500
0.000 0.500 0.000
0.000 0.000 0.500
0.500 0.000 0.000
0.000 0.000 0.000
```

Computed properties:
D(E_F): 0.69 states/eV/atom
Final energy: -25.234 eV per atom

---

No. 5
The following is a DFT calculation (meta-GGA SCAN) of a PBEsol-optimized structure of CoSbSN2.

```
CoSbSN2
1.0
3.719 0.000 0.000
0.000 3.719 0.000
0.000 0.000 4.588
Sb S Co N
1 1 1 2
Direct
0.500 0.500 0.500
0.000 0.000 0.500
0.000 0.000 0.000
0.000 0.500 0.000
0.500 0.000 0.000
```

Computed properties:
D(E_F): 0.39 states/eV/atom
Energy relative to the elements, uncorrected: 0.923 eV per atom

---

No. 6
The following is a DFT calculation (meta-GGA SCAN) of a PBEsol-optimized structure of AlCu2Ni.

```
AlCu2Ni
1.0
-1.870 -1.389 -1.301
-0.383 -1.983 2.667
-3.655 3.190 1.848
Ni Al Cu
1 1 2
Direct
0.000 0.000 0.504
0.500 0.500 0.738
0.000 0.000 0.008
0.500 0.500 0.249
```

Computed properties:
D(E_F): 0.40 states/eV/atom
Final energy: -13.877 eV per atom

---

No. 7
The following is a DFT calculation (meta-GGA SCAN) of a PBEsol-optimized structure of Pu2US5.

```
Pu2US5
1.0
7.151 0.000 0.000
0.000 7.840 0.000
0.000 0.000 11.119
Pu U S
8 4 20
Direct
0.470 0.497 0.323
0.030 0.003 0.823
0.530 0.997 0.677
0.970 0.503 0.177
0.530 0.503 0.677
└──
Please copy everything further up without altering anything.
No. 1
The following is a DFT calculation (meta-GGA SCAN) of a PBEsol-optimized structure of Cu2POs.

```
Cu2POs
1.0
2.881 0.000 0.000
0.000 3.707 0.000
-1.441 0.000 4.842
Cu Os P
2 1 1
Direct
0.947 0.000 0.893
0.320 0.500 0.641
0.681 0.000 0.363
0.555 0.500 0.110
```

Computed properties:
D(E_F): 0.58 states/eV/atom
Final energy: -27.961 eV per atom

---

No. 2
The following is a DFT calculation (meta-GGA SCAN) of a PBEsol-optimized structure of NaCa2Mg2As3O12.

```
NaCa2Mg2As3O12
1.0
-5.287 -0.850 -9.275
10.461 -1.537 -1.703
-3.623 -7.378 6.865
Na Ca Mg As O
4 8 8 12 48
Direct
0.250 0.250 0.000
0.500 0.000 0.500
0.750 0.750 0.000
0.000 0.500 0.500
0.875 0.004 0.629
0.996 0.625 0.871
0.875 0.504 0.129
0.496 0.625 0.371
0.375 0.246 0.371
0.754 0.125 0.129
0.375 0.746 0.871
0.254 0.125 0.629
0.625 0.375 0.250
0.125 0.375 0.250
0.125 0.875 0.250
0.625 0.875 0.750
0.625 0.375 0.750
0.125 0.375 0.750
0.625 0.875 0.250
0.125 0.875 0.750
0.750 0.250 0.500
0.375 0.998 0.123
0.748 0.625 0.623
0.248 0.625 0.123
0.875 0.252 0.877
0.000 0.000 0.000
0.250 0.750 0.500
0.002 0.125 0.377
0.375 0.498 0.623
0.502 0.125 0.877
0.875 0.752 0.377
0.500 0.500 0.000
0.930 0.671 0.661
0.720 0.070 0.461
0.729 0.790 0.373
0.930 0.391 0.650
0.229 0.857 0.940
0.210 0.583 0.940
0.019 0.260 0.839
0.833 0.393 0.873
0.710 0.771 0.627
0.731 0.070 0.740
0.509 0.470 0.150
0.329 0.990 0.260
0.030 0.991 0.850
0.430 0.769 0.260
0.107 0.667 0.127
0.609 0.259 0.539
0.240 0.481 0.161
0.421 0.180 0.161
0.917 0.290 0.060
0.740 0.579 0.760
0.820 0.970 0.961
0.141 0.180 0.150
0.643 0.271 0.060
0.009 0.859 0.039
0.241 0.891 0.461
0.607 0.479 0.440
0.109 0.570 0.350
0.430 0.780 0.539
0.510 0.171 0.740
0.333 0.460 0.440
0.829 0.570 0.339
0.010 0.269 0.339
0.641 0.491 0.961
0.143 0.083 0.373
0.820 0.981 0.240
0.220 0.759 0.650
0.921 0.760 0.240
0.741 0.280 0.350
0.519 0.680 0.760
0.540 0.979 0.873
0.417 0.357 0.627
0.231 0.490 0.661
0.040 0.167 0.560
0.021 0.893 0.560
0.320 0.359 0.850
0.530 0.680 0.039
0.521 0.960 0.127
0.320 0.079 0.839
```

Computed properties:
D(E_F): 0.00 states/eV/atom
Energy relative to the elements, uncorrected: -2.364 eV per atom

---

No. 3
The following is a DFT calculation (meta-GGA SCAN) of a PBEsol-optimized structure of PtAuF3.

```
PtAuF3
1.0
4.187 0.000 0.000
0.000 4.187 0.000
0.000 0.000 4.187
Au Pt F
1 1 3
Direct
0.500 0.500 0.500
0.000 0.000 0.000
0.000 0.500 0.000
0.000 0.000 0.500
0.500 0.000 0.000
```

Computed properties:
D(E_F): 0.27 states/eV/atom
Energy relative to the elements, uncorrected: -0.446 eV per atom

---

No. 4
The following is a DFT calculation (meta-GGA SCAN) of a PBEsol-optimized structure of TiNiPd3.

```
TiNiPd3
1.0
4.490 0.000 0.000
0.000 4.490 0.000
0.000 0.000 4.490
Ni Pd Ti
1 3 1
Direct
0.500 0.500 0.500
0.000 0.500 0.000
0.000 0.000 0.500
0.500 0.000 0.000
0.000 0.000 0.000
```

Computed properties:
D(E_F): 0.69 states/eV/atom
Final energy: -25.234 eV per atom

---

No. 5
The following is a DFT calculation (meta-GGA SCAN) of a PBEsol-optimized structure of CoSbSN2.

```
CoSbSN2
1.0
3.719 0.000 0.000
0.000 3.719 0.000
0.000 0.000 4.588
Sb S Co N
1 1 1 2
Direct
0.500 0.500 0.500
0.000 0.000 0.500
0.000 0.000 0.000
0.000 0.500 0.000
0.500 0.000 0.000
```

Computed properties:
D(E_F): 0.39 states/eV/atom
Energy relative to the elements, uncorrected: 0.923 eV per atom

---

No. 6
The following is a DFT calculation (meta-GGA SCAN) of a PBEsol-optimized structure of AlCu2Ni.

```
AlCu2Ni
1.0
-1.870 -1.389 -1.301
-0.383 -1.983 2.667
-3.655 3.190 1.848
Ni Al Cu
1 1 2
Direct
0.000 0.000 0.504
0.500 0.500 0.738
0.000 0.000 0.008
0.500 0.500 0.249
```

Computed properties:
D(E_F): 0.40 states/eV/atom
Final energy: -13.877 eV per atom

---

No. 7
The following is a DFT calculation (meta-GGA SCAN) of a PBEsol-optimized structure of Pu2US5.

```
Pu2US5
1.0
7.151 0.000 0.000
0.000 7.840 0.000
0.000 0.000 11.119
Pu U S
8 4 20
Direct
0.470 0.497 0.323
0.030 0.003 0.823
0.530 0.997 0.677
0.970 0.503 0.177
0.530 0.503 0.677